-- To do --
It remains to return the lines below from the one with "0.313 0.413" to the one with "Rb5Eu3Cl12 (GGA-PBE," exactly.
-- File --
┌──
This record from the Alexandria database describes a relaxed structure of Li2MnPO5. The functional is PBE+U.

total DFT energy (no corrections): -6.69 eV per atom
symmetry: No. 15
calculated volume: 10.689 Å³ per atom

abc: 5.502 5.502 7.112
angles: 108.57 108.57 89.58
Atoms (fractional coordinates):
Li1 0.050 0.604 0.746
Li2 0.396 0.950 0.754
Li3 0.604 0.050 0.246
Li4 0.950 0.396 0.254
Mn1 0.500 0.500 0.000
Mn2 0.500 0.500 0.500
P1 0.128 0.872 0.250
P2 0.872 0.128 0.750
O1 0.165 0.196 0.852
O2 0.196 0.165 0.352
O3 0.224 0.729 0.416
O4 0.271 0.776 0.084
O5 0.408 0.592 0.750
O6 0.592 0.408 0.250
O7 0.729 0.224 0.916
O8 0.776 0.271 0.584
O9 0.804 0.835 0.648
O10 0.835 0.804 0.148

~~~~~

# EuPuSeCl

A relaxed structure of EuPuSeCl (GGA-PBE, the Alexandria database).

a = 5.147 Å, b = 5.147 Å, c = 5.147 Å
α = 60.00°, β = 60.00°, γ = 60.00°
Fractional coordinates of all 4 atoms:
1 Eu 0.750 0.750 0.750
2 Cl 0.000 0.000 0.000
3 Se 0.500 0.500 0.500
4 Pu 0.250 0.250 0.250

=====

# Rb12Eu3Cl5

A relaxed structure of Rb12Eu3Cl5 (GGA-PBE, the Alexandria database).

a = 19.124 Å, b = 19.124 Å, c = 19.124 Å
α = 109.47°, β = 109.47°, γ = 109.47°
Fractional coordinates of all 80 atoms:
1 Eu 0.750 0.375 0.125
2 Eu 0.875 0.750 0.125
3 Eu 0.375 0.750 0.625
4 Eu 0.250 0.125 0.375
5 Eu 0.875 0.125 0.250
6 Eu 0.375 0.625 0.250
7 Eu 0.625 0.375 0.750
8 Eu 0.125 0.875 0.750
9 Eu 0.750 0.875 0.625
10 Eu 0.625 0.250 0.375
11 Eu 0.125 0.250 0.875
12 Eu 0.250 0.625 0.875
13 Rb 0.687 0.100 0.004
14 Rb 0.316 0.504 0.404
15 Rb 0.996 0.400 0.313
16 Rb 0.504 0.187 0.100
17 Rb 0.587 0.687 0.684
18 Rb 0.996 0.596 0.184
19 Rb 0.316 0.813 0.413
20 Rb 0.096 0.913 0.100
21 Rb 0.596 0.996 0.684
22 Rb 0.687 0.587 0.184
23 Rb 0.813 0.496 0.400
24 Rb 0.816 0.904 0.004
25 Rb 0.100 0.687 0.504
26 Rb 0.400 0.404 0.087
27 Rb 0.087 0.904 0.400
28 Rb 0.413 0.100 0.596
29 Rb 0.087 0.184 0.187
30 Rb 0.496 0.684 0.096
31 Rb 0.816 0.913 0.313
32 Rb 0.100 0.413 0.096
33 Rb 0.400 0.996 0.813
34 Rb 0.596 0.600 0.413
35 Rb 0.904 0.816 0.504
36 Rb 0.813 0.316 0.913
37 Rb 0.404 0.400 0.587
38 Rb 0.096 0.184 0.496
39 Rb 0.187 0.684 0.087
40 Rb 0.184 0.087 0.687
41 Rb 0.600 0.004 0.187
42 Rb 0.900 0.587 0.904
43 Rb 0.504 0.316 0.904
44 Rb 0.587 0.900 0.404
45 Rb 0.913 0.816 0.813
46 Rb 0.913 0.096 0.600
47 Rb 0.900 0.313 0.496
48 Rb 0.184 0.096 0.996
49 Rb 0.600 0.596 0.913
50 Rb 0.404 0.004 0.316
51 Rb 0.313 0.413 0.816
52 Rb 0.187 0.504 0.600
53 Rb 0.904 0.087 0.900
54 Rb 0.684 0.187 0.587
55 Rb 0.496 0.813 0.900
56 Rb 0.004 0.404 0.816
57 Rb 0.413 0.313 0.316
58 Rb 0.004 0.600 0.687
59 Rb 0.684 0.496 0.596
60 Rb 0.313 0.900 0.996
61 Cl 0.125 0.375 0.250
62 Cl 0.000 0.500 0.000
63 Cl 0.000 0.000 0.000
64 Cl 0.375 0.250 0.125
65 Cl 0.500 0.000 0.500
66 Cl 0.500 0.500 0.000
67 Cl 0.125 0.750 0.375
68 Cl 0.750 0.125 0.875
69 Cl 0.750 0.625 0.375
70 Cl 0.375 0.125 0.750
71 Cl 0.625 0.875 0.250
72 Cl 0.500 0.500 0.500
73 Cl 0.500 0.000 0.000
74 Cl 0.000 0.000 0.500
75 Cl 0.250 0.375 0.625
76 Cl 0.250 0.875 0.125
77 Cl 0.000 0.500 0.500
78 Cl 0.875 0.250 0.625
79 Cl 0.625 0.750 0.875
80 Cl 0.875 0.625 0.750

=====

# Rb5Eu3Cl12

A relaxed structure of Rb5Eu3Cl12 (GGA-PBE, the Alexandria database).

a = 16.894 Å, b = 16.894 Å, c = 16.894 Å
α = 109.47°, β = 109.47°, γ = 109.47°
Fractional coordinates of all 80 atoms:
1 Eu 0.750 0.375 0.125
2 Eu 0.875 0.750 0.125
3 Eu 0.375 0.750 0.625
4 Eu 0.250 0.125 0.375
5 Eu 0.875 0.125 0.250
6 Eu 0.375 0.625 0.250
7 Eu 0.625 0.375 0.750
8 Eu 0.125 0.875 0.750
9 Eu 0.750 0.875 0.625
10 Eu 0.625 0.250 0.375
11 Eu 0.125 0.250 0.875
12 Eu 0.250 0.625 0.875
13 Rb 0.125 0.375 0.250
14 Rb 0.000 0.500 0.000
15 Rb 0.000 0.000 0.000
16 Rb 0.375 0.250 0.125
17 Rb 0.500 0.000 0.500
18 Rb 0.500 0.500 0.000
19 Rb 0.125 0.750 0.375
20 Rb 0.750 0.125 0.875
21 Rb 0.750 0.625 0.375
22 Rb 0.375 0.125 0.750
23 Rb 0.625 0.875 0.250
24 Rb 0.500 0.500 0.500
25 Rb 0.500 0.000 0.000
26 Rb 0.000 0.000 0.500
27 Rb 0.250 0.375 0.625
28 Rb 0.250 0.875 0.125
└──
-- Response --
51 Rb 0.313 0.413 0.816
52 Rb 0.187 0.504 0.600
53 Rb 0.904 0.087 0.900
54 Rb 0.684 0.187 0.587
55 Rb 0.496 0.813 0.900
56 Rb 0.004 0.404 0.816
57 Rb 0.413 0.313 0.316
58 Rb 0.004 0.600 0.687
59 Rb 0.684 0.496 0.596
60 Rb 0.313 0.900 0.996
61 Cl 0.125 0.375 0.250
62 Cl 0.000 0.500 0.000
63 Cl 0.000 0.000 0.000
64 Cl 0.375 0.250 0.125
65 Cl 0.500 0.000 0.500
66 Cl 0.500 0.500 0.000
67 Cl 0.125 0.750 0.375
68 Cl 0.750 0.125 0.875
69 Cl 0.750 0.625 0.375
70 Cl 0.375 0.125 0.750
71 Cl 0.625 0.875 0.250
72 Cl 0.500 0.500 0.500
73 Cl 0.500 0.000 0.000
74 Cl 0.000 0.000 0.500
75 Cl 0.250 0.375 0.625
76 Cl 0.250 0.875 0.125
77 Cl 0.000 0.500 0.500
78 Cl 0.875 0.250 0.625
79 Cl 0.625 0.750 0.875
80 Cl 0.875 0.625 0.750

=====

# Rb5Eu3Cl12

A relaxed structure of Rb5Eu3Cl12 (GGA-PBE, the Alexandria database).